Exhibition and Congress Centre of Ávila

When the site’s topography is a previous condition, it becomes one of the most useful and fruitful allies of the project.
At the Avila auditorium the rocks blend into the building to the point that it does not rest on them, but is rather buried in the artificial cuts, suggesting yet another rocky outcrop.

Materials data, as found in the file:
+++
The following is a calculated powder XRD pattern of TbMn2O5. It was derived from a GGA+U-relaxed structure, using Cu Kα.
Neutral-atom scattering factors, no anomalous dispersion.

Peak list (6 most intense, 2θ from 5° to 70°, by intensity)
d = 2.927 Å, intensity 100
d = 3.126 Å, intensity 67
d = 5.793 Å, intensity 40
d = 2.670 Å, intensity 39
d = 2.203 Å, intensity 28
d = 1.679 Å, intensity 27

Structure:
Lattice parameters (Å, degrees): 7.385 8.592 5.793 90.00 90.00 90.00
Element x y z (fractional)
Tb 0.138 0.171 0.000
Tb 0.362 0.671 0.000
Tb 0.638 0.329 0.000
Tb 0.862 0.829 0.000
Mn 0.000 0.500 0.254
Mn 0.000 0.500 0.746
Mn 0.089 0.849 0.500
Mn 0.411 0.349 0.500
Mn 0.500 0.000 0.254
Mn 0.500 0.000 0.746
Mn 0.589 0.651 0.500
Mn 0.911 0.151 0.500
O 0.000 0.000 0.271
O 0.000 0.000 0.729
O 0.106 0.707 0.241
O 0.106 0.707 0.759
O 0.151 0.431 0.500
O 0.163 0.443 0.000
O 0.337 0.943 0.000
O 0.349 0.931 0.500
O 0.394 0.207 0.241
O 0.394 0.207 0.759
O 0.500 0.500 0.271
O 0.500 0.500 0.729
O 0.606 0.793 0.241
O 0.606 0.793 0.759
O 0.651 0.069 0.500
O 0.663 0.057 0.000
O 0.837 0.557 0.000
O 0.849 0.569 0.500
O 0.894 0.293 0.241
O 0.894 0.293 0.759

---

The following is a calculated powder XRD pattern of K2Fe2P2O7F2. It was derived from a GGA+U-relaxed structure, using Cu Kα.
Neutral-atom scattering factors, no anomalous dispersion.

Peak list (6 most intense, 2θ from 5° to 70°, by intensity)
d = 2.952 Å, intensity 100
d = 2.998 Å, intensity 94
d = 3.326 Å, intensity 77
d = 6.228 Å, intensity 59
d = 2.778 Å, intensity 51
d = 5.433 Å, intensity 42

Structure:
Lattice parameters (Å, degrees): 7.310 11.892 11.113 90.00 90.00 90.00
Element x y z (fractional)
K 0.073 0.185 0.049
K 0.073 0.815 0.549
K 0.427 0.315 0.549
K 0.427 0.685 0.049
K 0.573 0.315 0.951
K 0.573 0.685 0.451
K 0.927 0.185 0.451
K 0.927 0.815 0.951
Fe 0.000 0.385 0.750
Fe 0.000 0.500 0.000
Fe 0.000 0.500 0.500
Fe 0.000 0.615 0.250
Fe 0.500 0.000 0.000
Fe 0.500 0.000 0.500
Fe 0.500 0.115 0.250
Fe 0.500 0.885 0.750
P 0.195 0.084 0.718
P 0.195 0.916 0.218
P 0.305 0.416 0.218
P 0.305 0.584 0.718
P 0.695 0.416 0.282
P 0.695 0.584 0.782
P 0.805 0.084 0.782
P 0.805 0.916 0.282
O 0.000 0.142 0.750
O 0.000 0.858 0.250
O 0.059 0.366 0.584
O 0.059 0.634 0.084
O 0.223 0.085 0.585
O 0.223 0.915 0.085
O 0.225 0.018 0.293
O 0.225 0.982 0.793
O 0.275 0.482 0.793
O 0.275 0.518 0.293
O 0.277 0.415 0.085
O 0.277 0.585 0.585
O 0.441 0.134 0.084
O 0.441 0.866 0.584
O 0.500 0.358 0.250
O 0.500 0.642 0.750
O 0.559 0.134 0.416
O 0.559 0.866 0.916
O 0.723 0.415 0.415
O 0.723 0.585 0.915
O 0.725 0.482 0.707
O 0.725 0.518 0.207
O 0.775 0.018 0.207
O 0.775 0.982 0.707
O 0.777 0.085 0.915
O 0.777 0.915 0.415
O 0.941 0.366 0.916
O 0.941 0.634 0.416
F 0.185 0.315 0.273
F 0.185 0.685 0.773
F 0.315 0.185 0.773
F 0.315 0.815 0.273
F 0.685 0.185 0.727
F 0.685 0.815 0.227
F 0.815 0.315 0.227
F 0.815 0.685 0.727
+++
End of the materials data:

Ávila crowns a rocky hill rising abruptly amid a dry brown tableland strewn with gray boulders. The completely stone-faced construction that is the Lienzo Norte Exhibition and Congress Center lies low but proud on this harsh open landscape like another boulder, just outside the medieval ramparts, right before the ground drops towards the north. Half-submerged in the land, it contains a hall seating 1,000, one for 500, a small auditorium for 400, and three flat-floored convention rooms. The foyers feature a straight stair with glass banisters, and the interior walls coatings of wood or mirrored glass.

• Attached: crystal structures:
........
Theoretical X-ray diffraction stick pattern of Ho3ZrC2S2 for a wavelength of 1.5418 Å, from the PBE geometry in OQMD.
Neutral-atom scattering factors, no anomalous dispersion.

Atomic structure:
```
Ho3ZrC2S2
1.0
3.6063 0.0000 0.0000
-1.8032 3.1231 0.0000
0.0000 0.0000 12.7008
Ho Zr C S
3 1 2 2
Direct
0.0000 0.0000 0.0000 Ho
0.0000 0.0000 0.2954 Ho
0.3333 0.6667 0.7893 Ho
0.3333 0.6667 0.4984 Zr
0.6667 0.3333 0.4070 C
0.6667 0.3333 0.8927 C
0.0000 0.0000 0.6355 S
0.3333 0.6667 0.1494 S
```

Principal peaks in the range 2θ from 10° to 90°, in order of rising 2θ:
2θ 28.10, d 3.175, I = 19
2θ 28.58, d 3.123, I = 31
2θ 29.45, d 3.033, I = 39
2θ 35.73, d 2.513, I = 100
2θ 40.51, d 2.227, I = 15
2θ 50.62, d 1.803, I = 29
2θ 58.88, d 1.568, I = 32
2θ 63.50, d 1.465, I = 18
2θ 68.34, d 1.373, I = 12
2θ 85.37, d 1.137, I = 17

=====

Record 1
This entry pairs a crystal structure of U3Tl3Te8Au with its theoretical X-ray diffraction stick pattern. Radiation: copper Kα. Structure: a cell relaxed with PBE.
Lines closer than 0.1° are merged.

Largest 10 diffraction maxima, sorted by position, 2θ from 10° to 90°:
2θ (°)  I/Imax  hkl
10.74  17  0 0 1
27.57  100  2 2 -2
28.18  43  4 0 0
36.84  39  2 2 2
39.38  37  4 0 -4
42.65  29  6 2 -2
43.99  13  0 0 4
49.15  19  4 4 0
56.90  15  4 4 -4
64.38  16  6 2 -6

a = 14.3701 Å, b = 9.1450 Å, c = 9.3430 Å
α = 90.00°, β = 118.19°, γ = 90.00°
Space group C2/m (No. 12)
Symmetry-distinct sites (fractional):
U 0.0000 0.0000 0.0000 x2
U 0.2500 0.2500 0.0000 x4
Tl 0.0000 0.5000 0.5000 x2
Tl 0.2500 0.2500 0.5000 x4
Te 0.0188 0.2205 0.7724 x8
Te 0.2120 0.5000 0.1921 x4
Te 0.2407 0.0000 0.2179 x4
Au 0.0000 0.5000 0.0000 x2

=====

Record 2
This entry pairs a crystal structure of LiMgNi2H8 with its theoretical X-ray diffraction stick pattern. Radiation: copper Kα. Structure: a cell relaxed with PBE.
Lines closer than 0.1° are merged.

Largest 10 diffraction maxima, sorted by position, 2θ from 10° to 90°:
2θ (°)  I/Imax  hkl
19.63  100  0 0 3
22.62  9  1 0 1
25.36  35  0 1 2
37.95  70  1 1 0
39.84  33  0 0 6
43.08  69  1 1 3
56.21  32  1 1 6
68.56  11  3 0 0
72.10  14  0 3 3
84.50  9  4 -2 3
........

Ávila is a dense, intense city. Every corner, building and framed view highlights this perception. A more intuitive density has to do with the land: a mineral compactness sprinkled by granite boulders.
Any clear space has an added value. A square frees up space and articulates rapport with the ramparts. The areas which have managed to remain clear have the power to structure the city. The presence of an open space at the foot of the walls – once a river bed, later a cattle market – warranted conceiving new systems to structure the urban space.
The site is characterized by its deep slope and granite subsoil, making excavation difficult. Our guiding principles were conceptual density, generosity in occupying space, and exploitation of topographical features. The landscape studded with granite pieces provided the references.
In accordance with the site’s contours, the project combined two geometries: the more orthogonal, elongated space contains the auditoriums and main halls, while the more precipitous, uneven one contains exhibition spaces. The main auditoriums are reached from the square and from the higher part of the seating area, allowing a quick initial grasp of the space, and the exhibition areas have an independent entrance from the incisions on the platform in the east boundary. Since all the areas are connected under the square, they can also be reached from inside the building.
Formally and constructionally, the project draws inspiration from the landscape’s evocative power, from the granite mass pervading everything. Seen from afar, the building reveals no planes, but leave a volumetric imprint, a sculpture carved out of the earth.
In keeping with the exterior treatment of the pieces, the interior halls will be clad in laminated glass with a fiberglass infill, generating a dense and mineral – rather than transparent – appearance.

(Between two parts of the entry: crystal structures)
For UTlZn2O8, a crystal structure in Alexandria, relaxed with GGA-PBE gives the calculated powder X-ray diffraction pattern in this record (Cu Kα X-rays).
Peak positions follow from Bragg's law for the DFT cell and can differ from measured ones.

Peak list (10 most intense, 15° ≤ 2θ ≤ 90°, by angle)
hkl  2θ/deg  d_spacing  I_rel
1 0 1  18.01  4.925  58
2 0 0  26.42  3.373  94
1 1 2  31.10  2.875  100
2 1 1  32.16  2.783  16
2 2 0  37.71  2.385  24
3 1 2  49.66  1.836  69
4 0 0  54.39  1.687  15
2 0 4  58.04  1.589  20
3 3 2  64.00  1.455  19
5 1 2  76.73  1.242  15

Structural model:
```
data_UTlZn2O8
_chemical_formula_sum 'U2 Tl2 Zn4 O16'
_cell_length_a 6.747
_cell_length_b 6.747
_cell_length_c 7.207
_cell_angle_alpha 90.00
_cell_angle_beta 90.00
_cell_angle_gamma 90.00
_space_group_name_H-M_alt 'I -4 m 2'
_space_group_IT_number 119
_space_group_name_Hall 'I -4 -2'
loop_
_atom_site_label
_atom_site_fract_x
_atom_site_fract_y
_atom_site_fract_z
U1 0.000 0.000 0.000
Tl1 0.000 0.500 0.750
Zn1 0.000 0.000 0.500
Zn2 0.000 0.500 0.250
O1 0.000 0.178 0.710
O2 0.000 0.295 0.060
```

----------

Simulated XRD peak list
Compound: Nd2Al9Co3
Radiation: Cu Kα (λ = 1.5418 Å)
Structure: a DFT-relaxed cell (PBE, Alexandria)
Intensities are scaled so that the largest is 100.

Principal peaks in the range 2θ = 5–70°, low angle first:
2θ/deg, d_spacing, intensity, h k l
25.54, 3.487, 82.6, 3 1 -2
37.08, 2.424, 53.7, 3 1 -4
37.20, 2.417, 60.6, 3 1 2
37.27, 2.413, 59.5, 0 2 3
37.85, 2.377, 55.1, 0 0 4
41.95, 2.154, 100.0, 3 3 -1

Atomic structure:
a = 13.0160 Å, b = 7.4433 Å, c = 10.4668 Å
α = 90.00°, β = 114.70°, γ = 90.00°
Space group C2/c (No. 15)
Inequivalent atoms, fractional coordinates:
Nd (0.1696, 0.0832, 0.2497) (multiplicity 8)
Al (0.0000, 0.3676, 0.2500) (multiplicity 4)
Al (0.0607, 0.0826, 0.9309) (multiplicity 8)
Al (0.0971, 0.4150, 0.0426) (multiplicity 8)
Al (0.1042, 0.3148, 0.7473) (multiplicity 8)
Al (0.2260, 0.4175, 0.4337) (multiplicity 8)
Co (0.0851, 0.2451, 0.5012) (multiplicity 8)
Co (0.2500, 0.2500, 0.0000) (multiplicity 4)

Simulated XRD peak list
Compound: Cs2PrRhO4
Radiation: Cu Kα (λ = 1.5418 Å)
Structure: a DFT-relaxed cell (PBE, Alexandria)
Intensities are scaled so that the largest is 100.

Principal peaks in the range 2θ = 5–70°, low angle first:
2θ/deg, d_spacing, intensity, h k l
13.84, 6.400, 100.0, 0 0 4
23.39, 3.803, 30.9, 1 1 5
24.39, 3.649, 65.7, 0 2 6
25.30, 3.521, 38.4, 0 4 0
31.50, 2.840, 50.8, 2 2 0
37.38, 2.406, 33.5, 0 2 10

Atomic structure:
a = 6.2072 Å, b = 14.0836 Å, c = 25.5984 Å
α = 90.00°, β = 90.00°, γ = 90.00°
Space group Fddd (No. 70, origin choice 2)
Inequivalent atoms, fractional coordinates:
Cs (0.1250, 0.1250, 0.3191) (multiplicity 16)
Pr (0.1250, 0.1250, 0.1250) (multiplicity 8)
Rh (0.1250, 0.1250, 0.6250) (multiplicity 8)
O (0.0962, 0.2757, 0.8574) (multiplicity 32)

Simulated XRD peak list
Compound: ZrCr2W
Radiation: Cu Kα (λ = 1.5418 Å)
Structure: a DFT-relaxed cell (PBE, Alexandria)
(The crystal structures stop here)

If the topography – the most immediate physical fact the architect faces –, which in the end determines the basic economic and structural systems of the project, is not kept in mind, how much space for contextualization, for true delivery, is left to architecture?
At the Ávila auditorium topography has an instrumental character. It not only helps to moderate the presence of the volumes required in the brief and to generate interior sections and spaces, but it also becomes a means to establish a relationship with the reality of the place –a place where density, intensity, weight and attachment